Brief:
Your job: transcribe all of the rows further down character by character.
Material:
+++
Record 1
MgMn6O8F4 (PBE+U, relaxed); offset from the most stable computed form = 144 kJ/mol of formula units
1.0
5.139 0.000 0.000
0.000 8.732 0.000
-0.662 0.000 5.152
Mg Mn O F
1 6 8 4
direct
0.000 0.000 0.000 Mg
0.010 0.173 0.512 Mn
0.010 0.827 0.512 Mn
0.015 0.500 0.526 Mn
0.543 0.000 0.270 Mn
0.587 0.335 0.964 Mn
0.587 0.665 0.964 Mn
0.191 0.000 0.368 O
0.364 0.500 0.833 O
0.762 0.500 0.173 O
0.770 0.167 0.152 O
0.770 0.833 0.152 O
0.815 0.000 0.638 O
0.836 0.335 0.667 O
0.836 0.665 0.667 O
0.227 0.334 0.384 F
0.227 0.666 0.384 F
0.284 0.161 0.884 F
0.284 0.839 0.884 F


Record 2
Mn6O5F7 (PBE+U, relaxed); offset from the most stable computed form = 93 kJ/mol of formula units
1.0
5.062 0.000 0.000
0.442 5.560 0.000
1.715 1.177 15.005
Mn O F
12 10 14
direct
0.000 0.000 0.000 Mn
0.000 0.369 0.482 Mn
0.021 0.038 0.659 Mn
0.055 0.993 0.324 Mn
0.479 0.341 0.309 Mn
0.486 0.352 0.649 Mn
0.491 0.357 0.987 Mn
0.497 0.834 0.152 Mn
0.505 0.828 0.488 Mn
0.509 0.823 0.818 Mn
0.977 0.356 0.812 Mn
0.988 0.337 0.147 Mn
0.198 0.273 0.583 O
0.223 0.217 0.240 O
0.262 0.110 0.071 O
0.265 0.105 0.743 O
0.278 0.113 0.407 O
0.687 0.524 0.551 O
0.690 0.526 0.882 O
0.697 0.506 0.214 O
0.766 0.225 0.062 O
0.784 0.265 0.718 O
0.191 0.310 0.913 F
0.220 0.718 0.254 F
0.225 0.794 0.594 F
0.229 0.804 0.922 F
0.276 0.580 0.084 F
0.310 0.575 0.752 F
0.324 0.580 0.418 F
0.741 0.046 0.899 F
0.748 0.014 0.245 F
0.753 0.039 0.569 F
0.774 0.735 0.051 F
0.784 0.291 0.385 F
0.832 0.786 0.727 F
0.851 0.782 0.406 F


Record 3
Li3FeO3 (PBE+U, relaxed); offset from the most stable computed form = 22 kJ/mol of formula units
1.0
3.593 0.000 0.000
0.000 6.337 6.374
0.000 -6.337 6.374
Li Fe O
12 4 12
direct
0.000 0.000 0.000 Li
0.000 0.028 0.566 Li
0.000 0.311 0.768 Li
0.000 0.337 0.337 Li
0.000 0.566 0.028 Li
0.000 0.768 0.311 Li
0.500 0.074 0.810 Li
0.500 0.268 0.525 Li
0.500 0.494 0.837 Li
0.500 0.525 0.268 Li
0.500 0.810 0.074 Li
0.500 0.837 0.494 Li
0.000 0.551 0.551 Fe
0.000 0.785 0.785 Fe
0.500 0.054 0.283 Fe
0.500 0.283 0.054 Fe
0.000 0.345 0.555 O
0.000 0.555 0.345 O
0.000 0.562 0.767 O
0.000 0.767 0.562 O
0.000 0.778 0.994 O
0.000 0.994 0.778 O
0.500 0.056 0.488 O
0.500 0.067 0.067 O
0.500 0.268 0.268 O
0.500 0.280 0.849 O
0.500 0.488 0.056 O
0.500 0.849 0.280 O


Record 4
VASP calculation (PBE+U) on a relaxed BaYW4O7 crystal.

POSCAR file:
```
BaYW4O7
1.0
6.359 0.000 0.000
-3.180 5.507 0.000
0.000 0.000 11.505
Ba Y W O
2 2 8 14
direct
0.333 0.667 0.000 Ba
0.667 0.333 0.500 Ba
0.333 0.667 0.385 Y
0.667 0.333 0.885 Y
0.000 0.000 0.023 W
0.000 0.000 0.523 W
0.168 0.336 0.704 W
0.168 0.832 0.704 W
0.336 0.168 0.204 W
0.664 0.832 0.704 W
0.832 0.168 0.204 W
0.832 0.664 0.204 W
0.000 0.000 0.322 O
0.000 0.000 0.822 O
0.038 0.519 0.812 O
0.180 0.360 0.521 O
0.180 0.820 0.521 O
0.360 0.180 0.021 O
0.481 0.519 0.812 O
0.481 0.962 0.812 O
0.519 0.038 0.312 O
0.519 0.481 0.312 O
0.640 0.820 0.521 O
0.820 0.180 0.021 O
0.820 0.640 0.021 O
0.962 0.481 0.312 O
```


Record 5
VASP calculation (PBE+U) on a relaxed MnOF crystal.

POSCAR file:
```
MnOF
1.0
3.817 0.000 0.000
0.000 3.241 0.000
-0.017 0.000 13.272
Mn O F
4 4 4
direct
0.249 0.000 0.178 Mn
0.250 0.128 0.678 Mn
0.750 0.628 0.322 Mn
0.751 0.500 0.822 Mn
0.250 0.600 0.288 O
0.251 0.527 0.788 O
0.749 0.027 0.212 O
0.750 0.100 0.712 O
0.249 0.451 0.086 F
0.250 0.677 0.587 F
0.750 0.177 0.413 F
0.751 0.951 0.914 F
```


Record 6
VASP calculation (PBE+U) on a relaxed Ca9Si6W4O28 crystal.

POSCAR file:
```
Ca9Si6W4O28
1.0
7.517 0.000 0.000
2.968 9.692 0.000
3.173 -0.374 9.854
Ca Si W O
9 6 4 28
direct
0.000 0.000 0.000 Ca
0.112 0.338 0.089 Ca
0.207 0.350 0.460 Ca
0.299 0.662 0.555 Ca
0.338 0.613 0.920 Ca
0.662 0.387 0.080 Ca
0.701 0.338 0.445 Ca
0.793 0.650 0.540 Ca
0.888 0.662 0.911 Ca
0.158 0.631 0.258 Si
0.259 0.356 0.748 Si
0.415 0.837 0.146 Si
0.585 0.163 0.854 Si
0.741 0.644 0.252 Si
0.842 0.369 0.742 Si
0.112 0.077 0.387 W
0.494 0.141 0.216 W
0.506 0.859 0.784 W
0.888 0.923 0.613 W
0.049 0.268 0.317 O
+++
Worked solution:
Record 1
MgMn6O8F4 (PBE+U, relaxed); offset from the most stable computed form = 144 kJ/mol of formula units
1.0
5.139 0.000 0.000
0.000 8.732 0.000
-0.662 0.000 5.152
Mg Mn O F
1 6 8 4
direct
0.000 0.000 0.000 Mg
0.010 0.173 0.512 Mn
0.010 0.827 0.512 Mn
0.015 0.500 0.526 Mn
0.543 0.000 0.270 Mn
0.587 0.335 0.964 Mn
0.587 0.665 0.964 Mn
0.191 0.000 0.368 O
0.364 0.500 0.833 O
0.762 0.500 0.173 O
0.770 0.167 0.152 O
0.770 0.833 0.152 O
0.815 0.000 0.638 O
0.836 0.335 0.667 O
0.836 0.665 0.667 O
0.227 0.334 0.384 F
0.227 0.666 0.384 F
0.284 0.161 0.884 F
0.284 0.839 0.884 F


Record 2
Mn6O5F7 (PBE+U, relaxed); offset from the most stable computed form = 93 kJ/mol of formula units
1.0
5.062 0.000 0.000
0.442 5.560 0.000
1.715 1.177 15.005
Mn O F
12 10 14
direct
0.000 0.000 0.000 Mn
0.000 0.369 0.482 Mn
0.021 0.038 0.659 Mn
0.055 0.993 0.324 Mn
0.479 0.341 0.309 Mn
0.486 0.352 0.649 Mn
0.491 0.357 0.987 Mn
0.497 0.834 0.152 Mn
0.505 0.828 0.488 Mn
0.509 0.823 0.818 Mn
0.977 0.356 0.812 Mn
0.988 0.337 0.147 Mn
0.198 0.273 0.583 O
0.223 0.217 0.240 O
0.262 0.110 0.071 O
0.265 0.105 0.743 O
0.278 0.113 0.407 O
0.687 0.524 0.551 O
0.690 0.526 0.882 O
0.697 0.506 0.214 O
0.766 0.225 0.062 O
0.784 0.265 0.718 O
0.191 0.310 0.913 F
0.220 0.718 0.254 F
0.225 0.794 0.594 F
0.229 0.804 0.922 F
0.276 0.580 0.084 F
0.310 0.575 0.752 F
0.324 0.580 0.418 F
0.741 0.046 0.899 F
0.748 0.014 0.245 F
0.753 0.039 0.569 F
0.774 0.735 0.051 F
0.784 0.291 0.385 F
0.832 0.786 0.727 F
0.851 0.782 0.406 F


Record 3
Li3FeO3 (PBE+U, relaxed); offset from the most stable computed form = 22 kJ/mol of formula units
1.0
3.593 0.000 0.000
0.000 6.337 6.374
0.000 -6.337 6.374
Li Fe O
12 4 12
direct
0.000 0.000 0.000 Li
0.000 0.028 0.566 Li
0.000 0.311 0.768 Li
0.000 0.337 0.337 Li
0.000 0.566 0.028 Li
0.000 0.768 0.311 Li
0.500 0.074 0.810 Li
0.500 0.268 0.525 Li
0.500 0.494 0.837 Li
0.500 0.525 0.268 Li
0.500 0.810 0.074 Li
0.500 0.837 0.494 Li
0.000 0.551 0.551 Fe
0.000 0.785 0.785 Fe
0.500 0.054 0.283 Fe
0.500 0.283 0.054 Fe
0.000 0.345 0.555 O
0.000 0.555 0.345 O
0.000 0.562 0.767 O
0.000 0.767 0.562 O
0.000 0.778 0.994 O
0.000 0.994 0.778 O
0.500 0.056 0.488 O
0.500 0.067 0.067 O
0.500 0.268 0.268 O
0.500 0.280 0.849 O
0.500 0.488 0.056 O
0.500 0.849 0.280 O


Record 4
VASP calculation (PBE+U) on a relaxed BaYW4O7 crystal.

POSCAR file:
```
BaYW4O7
1.0
6.359 0.000 0.000
-3.180 5.507 0.000
0.000 0.000 11.505
Ba Y W O
2 2 8 14
direct
0.333 0.667 0.000 Ba
0.667 0.333 0.500 Ba
0.333 0.667 0.385 Y
0.667 0.333 0.885 Y
0.000 0.000 0.023 W
0.000 0.000 0.523 W
0.168 0.336 0.704 W
0.168 0.832 0.704 W
0.336 0.168 0.204 W
0.664 0.832 0.704 W
0.832 0.168 0.204 W
0.832 0.664 0.204 W
0.000 0.000 0.322 O
0.000 0.000 0.822 O
0.038 0.519 0.812 O
0.180 0.360 0.521 O
0.180 0.820 0.521 O
0.360 0.180 0.021 O
0.481 0.519 0.812 O
0.481 0.962 0.812 O
0.519 0.038 0.312 O
0.519 0.481 0.312 O
0.640 0.820 0.521 O
0.820 0.180 0.021 O
0.820 0.640 0.021 O
0.962 0.481 0.312 O
```


Record 5
VASP calculation (PBE+U) on a relaxed MnOF crystal.

POSCAR file:
```
MnOF
1.0
3.817 0.000 0.000
0.000 3.241 0.000
-0.017 0.000 13.272
Mn O F
4 4 4
direct
0.249 0.000 0.178 Mn
0.250 0.128 0.678 Mn
0.750 0.628 0.322 Mn
0.751 0.500 0.822 Mn
0.250 0.600 0.288 O
0.251 0.527 0.788 O
0.749 0.027 0.212 O
0.750 0.100 0.712 O
0.249 0.451 0.086 F
0.250 0.677 0.587 F
0.750 0.177 0.413 F
0.751 0.951 0.914 F
```


Record 6
VASP calculation (PBE+U) on a relaxed Ca9Si6W4O28 crystal.

POSCAR file:
```
Ca9Si6W4O28
1.0
7.517 0.000 0.000
2.968 9.692 0.000
3.173 -0.374 9.854
Ca Si W O
9 6 4 28
direct
0.000 0.000 0.000 Ca
0.112 0.338 0.089 Ca
0.207 0.350 0.460 Ca
0.299 0.662 0.555 Ca
0.338 0.613 0.920 Ca
0.662 0.387 0.080 Ca
0.701 0.338 0.445 Ca
0.793 0.650 0.540 Ca
0.888 0.662 0.911 Ca
0.158 0.631 0.258 Si
0.259 0.356 0.748 Si
0.415 0.837 0.146 Si
0.585 0.163 0.854 Si
0.741 0.644 0.252 Si
0.842 0.369 0.742 Si
0.112 0.077 0.387 W
0.494 0.141 0.216 W
0.506 0.859 0.784 W
0.888 0.923 0.613 W
0.049 0.268 0.317 O